Job
Could you print all of the material further below without altering anything?

Entries
/*
Computed XRD peak list of SmPu3Cu8 for CuKα, from the PBE geometry in Alexandria.
Peak positions follow from Bragg's law for the DFT cell and can differ from measured ones.

Principal peaks in the range 2θ from 10° to 90°, in order of rising 2θ:
| hkl | two_theta | I/Imax |
| --- | --- | --- |
| 1 0 0 | 19.51 | 17 |
| 1 0 2 | 28.65 | 20 |
| 1 1 0 | 34.13 | 67 |
| 1 0 3 | 37.22 | 85 |
| 2 0 0 | 39.61 | 15 |
| 1 1 2 | 40.29 | 100 |
| 0 2 1 | 41.05 | 43 |
| 2 1 3 | 63.13 | 38 |
| 0 3 2 | 65.27 | 24 |
| 0 2 5 | 68.66 | 27 |
| 2 2 0 | 71.86 | 20 |
| 1 3 3 | 83.83 | 17 |

Atomic structure:
a = 5.255 Å, b = 5.255 Å, c = 8.550 Å
α = 90.00°, β = 90.00°, γ = 120.00°
Sites, in units of the cell vectors:
Sm  0.000  0.000  0.000
Pu  0.000  0.000  0.393
Pu  0.667  0.333  0.495
Pu  0.667  0.333  0.875
Cu  0.003  0.501  0.191
Cu  0.169  0.338  0.692
Cu  0.169  0.831  0.692
Cu  0.333  0.667  0.441
Cu  0.333  0.667  0.942
Cu  0.499  0.501  0.191
Cu  0.499  0.997  0.191
Cu  0.662  0.831  0.692
*/

Written answer
Computed XRD peak list of SmPu3Cu8 for CuKα, from the PBE geometry in Alexandria.
Peak positions follow from Bragg's law for the DFT cell and can differ from measured ones.

Principal peaks in the range 2θ from 10° to 90°, in order of rising 2θ:
| hkl | two_theta | I/Imax |
| --- | --- | --- |
| 1 0 0 | 19.51 | 17 |
| 1 0 2 | 28.65 | 20 |
| 1 1 0 | 34.13 | 67 |
| 1 0 3 | 37.22 | 85 |
| 2 0 0 | 39.61 | 15 |
| 1 1 2 | 40.29 | 100 |
| 0 2 1 | 41.05 | 43 |
| 2 1 3 | 63.13 | 38 |
| 0 3 2 | 65.27 | 24 |
| 0 2 5 | 68.66 | 27 |
| 2 2 0 | 71.86 | 20 |
| 1 3 3 | 83.83 | 17 |

Atomic structure:
a = 5.255 Å, b = 5.255 Å, c = 8.550 Å
α = 90.00°, β = 90.00°, γ = 120.00°
Sites, in units of the cell vectors:
Sm  0.000  0.000  0.000
Pu  0.000  0.000  0.393
Pu  0.667  0.333  0.495
Pu  0.667  0.333  0.875
Cu  0.003  0.501  0.191
Cu  0.169  0.338  0.692
Cu  0.169  0.831  0.692
Cu  0.333  0.667  0.441
Cu  0.333  0.667  0.942
Cu  0.499  0.501  0.191
Cu  0.499  0.997  0.191
Cu  0.662  0.831  0.692